16 September: fyi -- jobs, Canada

Index of September 2002 | Index of year: 2002 | Full index

The Department of Philosophy, Queen's University, draws attention to the
following advertisement. Further information can be obtained from the
Head of Department, Dr. David Bakhurst, (tel: 613-533-2182, fax:
613-533-6545, email: bakhurst@post.queensu.ca)

== The piece is interrupted by data records ==
~~~
Calculated XRD peak list
Compound: Be2PtF
Radiation: copper Kα
Structure: a structure optimized by DFT (GGA-PBE)
Intensities are scaled so that the largest is 100.

Crystal structure
```
data_Be2PtF
_chemical_formula_sum 'Be4 Pt2 F2'
_cell_length_a 2.776
_cell_length_b 6.044
_cell_length_c 6.439
_cell_angle_alpha 68.47
_cell_angle_beta 77.67
_cell_angle_gamma 89.97
_symmetry_space_group_name_H-M 'P -1'
_symmetry_Int_Tables_number 2
loop_
_symmetry_equiv_pos_as_xyz
'x,y,z'
'-x,-y,-z'
loop_
_atom_site_label
_atom_site_fract_x
_atom_site_fract_y
_atom_site_fract_z
Be1 0.067 0.398 0.365
Be2 0.195 0.062 0.109
Pt1 0.406 0.268 0.691
F1 0.153 0.275 0.192
```

Largest 10 diffraction maxima, by angle, 5 to 70 degrees two-theta:
(0 0 1), 15.20 deg, intensity 17.4; (0 1 1), 17.35 deg, intensity 100.0; (0 1 -1), 25.87 deg, intensity 26.2; (0 1 2), 28.73 deg, intensity 15.4; (0 0 2), 30.67 deg, intensity 21.8; (0 2 0), 31.95 deg, intensity 32.1; (1 0 0), 33.17 deg, intensity 28.1; (0 2 2), 35.12 deg, intensity 19.3; (1 1 1), 35.63 deg, intensity 23.8; (-1 1 1), 39.63 deg, intensity 30.7

Calculated XRD peak list
Compound: PuBeF6
Radiation: copper Kα
Structure: a structure optimized by DFT (GGA-PBE)
Intensities are scaled so that the largest is 100.

Crystal structure
```
data_PuBeF6
_chemical_formula_sum 'Pu3 Be3 F18'
_cell_length_a 5.1892
_cell_length_b 5.1892
_cell_length_c 13.6814
_cell_angle_alpha 90.00
_cell_angle_beta 90.00
_cell_angle_gamma 120.00
_symmetry_space_group_name_H-M 'R -3'
_symmetry_Int_Tables_number 148
_symmetry_space_group_name_Hall '-R 3'
loop_
_atom_site_label
_atom_site_fract_x
_atom_site_fract_y
_atom_site_fract_z
Pu1 0.0000 0.0000 0.0000
Be1 0.0000 0.0000 0.5000
F1 0.0374 0.2955 0.5749
```

Largest 10 diffraction maxima, by angle, 5 to 70 degrees two-theta:
(0 0 3), 19.46 deg, intensity 31.4; (1 0 1), 20.81 deg, intensity 81.9; (0 1 2), 23.69 deg, intensity 100.0; (1 0 4), 32.91 deg, intensity 30.5; (1 1 0), 34.57 deg, intensity 19.7; (0 1 5), 38.52 deg, intensity 23.2; (1 1 3), 39.98 deg, intensity 46.2; (0 2 1), 40.69 deg, intensity 21.1; (2 -1 6), 53.50 deg, intensity 25.7; (2 1 1), 54.43 deg, intensity 19.5

Calculated XRD peak list
Compound: RbTmBe2F8
Radiation: copper Kα
Structure: a structure optimized by DFT (GGA-PBE)
Intensities are scaled so that the largest is 100.

Crystal structure
```
data_RbTmBe2F8
_chemical_formula_sum 'Rb2 Tm2 Be4 F16'
_cell_length_a 8.637
_cell_length_b 5.497
_cell_length_c 8.392
_cell_angle_alpha 90.00
_cell_angle_beta 94.53
_cell_angle_gamma 90.00
_symmetry_space_group_name_H-M 'C 1 2/m 1'
_symmetry_Int_Tables_number 12
loop_
_symmetry_equiv_pos_as_xyz
'x,y,z'
'-x,-y,-z'
'-x,y,-z'
'x,-y,z'
'x+1/2,y+1/2,z'
'-x+1/2,-y+1/2,-z'
'-x+1/2,y+1/2,-z'
'x+1/2,-y+1/2,z'
loop_
_atom_site_label
_atom_site_fract_x
_atom_site_fract_y
_atom_site_fract_z
Rb1 0.000 0.000 0.000
Tm1 0.000 0.000 0.500
Be1 0.127 0.500 0.281
F1 0.026 0.266 0.315
F2 0.184 0.500 0.118
F3 0.241 0.000 0.575
```
~~~

QUEEN'S NATIONAL SCHOLARS (Faculty Appointments)

Queen's University at Kingston invites applications from outstanding
scholars for faculty appointments under the Queen's National Scholars
Program. These appointments are to enrich teaching and research in newly
developing fields of knowledge as well as traditional disciplines. It is
anticipated that up to four positions will be available in the following
disciplines: Humanities; Social Sciences; and in Health, broadly defined
as in the CIHR model. The main criterion of interest to the selection
committee is academic excellence regardless of other considerations.
Preference will be given to scholars in the early- or mid-career stages.
Another objective is to provide an opportunity to improve the proportion
of women and members of designated minorities on faculty. Queen's
University is committed to employment equity and welcomes applications
from all qualified women and men, including visible minorities,
aboriginal people, persons with disabilities, gay men and lesbians.

A maximum of four awards will be available in 2002/03. Appointments
under this special program will be either tenure-track or special
shorter term appointments in accordance with the Collective Agreement
between University and the Queen's University Faculty Association.

Prior to submission of a full application, contact should be made with
the appropriate department head to discuss the position(s) which may be
available. Each full application should include a curriculum vitae, a
brief statement of current and prospective research interests and a
statement regarding teaching experience or potential. Applicants should
also supply information concerning any interruptions in their academic
careers and other factors which may have affected their capacity to
complete scholarly work. It is the responsibility of the applicants to
have letters from at least three referees sent directly to the address
below. The deadline for receipt of completed applications, including
letters of reference, is October 4, 2002 for decision in January 2003.

Applications and letters of reference should be sent to: The Head(s) of
the department(s) of the applicant's field(s) of study, Queen's
University, Kingston, Ontario, Canada, K7L 3N6.

All qualified candidates are encouraged to apply; however, Canadian
citizens and Permanent Residents will be given priority.

Materials data from another source follow:
-- begin --
[1]
# Ni2PRhO6
Computed powder X-ray diffraction pattern, Cu Kα X-rays. Input: a PBE+U-relaxed structure.
Peak positions follow from Bragg's law for the DFT cell and can differ from measured ones.

Most intense lines, 2θ = 10–90°, by intensity:
21.9°, intensity 100
32.1°, intensity 88
33.0°, intensity 74
51.0°, intensity 57
47.4°, intensity 55
72.1°, intensity 38
58.4°, intensity 30
52.8°, intensity 29
16.3°, intensity 24
43.5°, intensity 17
40.0°, intensity 16
69.2°, intensity 15

Cell: 5.4284 5.4284 4.0530 Å, 90.00 90.00 90.00°
Sites, in units of the cell vectors:
Ni1 0.0000 0.5000 0.0000
Ni2 0.5000 0.0000 0.0000
P1 0.0000 0.0000 0.7435
Rh1 0.5000 0.5000 0.7572
O1 0.0000 0.0000 0.3745
O2 0.2165 0.2165 0.8670
O3 0.2165 0.7835 0.8670
O4 0.5000 0.5000 0.2707
O5 0.7835 0.2165 0.8670
O6 0.7835 0.7835 0.8670

[2]
# NiSbP2O9
Computed powder X-ray diffraction pattern, Cu Kα X-rays. Input: a PBE+U-relaxed structure.
Peak positions follow from Bragg's law for the DFT cell and can differ from measured ones.

Most intense lines, 2θ = 10–90°, by intensity:
16.9°, intensity 100
18.9°, intensity 64
23.3°, intensity 59
17.8°, intensity 51
30.8°, intensity 50
12.6°, intensity 47
27.9°, intensity 32
32.8°, intensity 30
29.5°, intensity 28
34.5°, intensity 26
55.7°, intensity 23
18.8°, intensity 22

Cell: 14.0281 6.4017 7.9414 Å, 90.00 90.00 90.00°
Sites, in units of the cell vectors:
Ni1 0.0000 0.0000 0.0000
Ni2 0.0000 0.5000 0.0000
Ni3 0.5000 0.0000 0.5000
Ni4 0.5000 0.5000 0.5000
Sb1 0.1192 0.2500 0.3429
Sb2 0.3808 0.7500 0.8429
Sb3 0.6192 0.2500 0.1571
Sb4 0.8808 0.7500 0.6571
P1 0.0577 0.7500 0.3436
P2 0.1913 0.7500 0.9116
P3 0.3087 0.2500 0.4116
P4 0.4423 0.2500 0.8436
P5 0.5577 0.7500 0.1564
P6 0.6913 0.7500 0.5884
P7 0.8087 0.2500 0.0884
P8 0.9423 0.2500 0.6564
O1 0.0061 0.7500 0.1739
O2 0.0111 0.2500 0.5057
O3 0.0387 0.2500 0.1467
O4 0.1262 0.5606 0.3587
O5 0.1262 0.9394 0.3587
O6 0.1330 0.5500 0.9344
O7 0.1330 0.9500 0.9344
O8 0.2179 0.2500 0.5334
O9 0.2470 0.7500 0.7371
O10 0.2530 0.2500 0.2371
O11 0.2821 0.7500 0.0334
O12 0.3670 0.0500 0.4344
O13 0.3670 0.4500 0.4344
O14 0.3738 0.0606 0.8587
O15 0.3738 0.4394 0.8587
O16 0.4613 0.7500 0.6467
O17 0.4889 0.7500 0.0057
O18 0.4939 0.2500 0.6739
O19 0.5061 0.7500 0.3261
O20 0.5111 0.2500 0.9943
O21 0.5387 0.2500 0.3533
O22 0.6262 0.5606 0.1413
O23 0.6262 0.9394 0.1413
O24 0.6330 0.5500 0.5656
O25 0.6330 0.9500 0.5656
O26 0.7179 0.2500 0.9666
O27 0.7470 0.7500 0.7629
O28 0.7530 0.2500 0.2629
O29 0.7821 0.7500 0.4666
O30 0.8670 0.0500 0.0656
O31 0.8670 0.4500 0.0656
O32 0.8738 0.0606 0.6413
O33 0.8738 0.4394 0.6413
O34 0.9613 0.7500 0.8533
O35 0.9889 0.7500 0.4943
O36 0.9939 0.2500 0.8261

[3]
# SiNi2P4O14
Computed powder X-ray diffraction pattern, Cu Kα X-rays. Input: a PBE+U-relaxed structure.
Peak positions follow from Bragg's law for the DFT cell and can differ from measured ones.

Most intense lines, 2θ = 10–90°, by intensity:
26.3°, intensity 100
10.7°, intensity 76
24.0°, intensity 25
-- stop --

Index of September 2002 | Index of year: 2002 | Full index